Diving into the Aquatic Masterpieces: The Mesmerizing World of Red Anaconda Discus
Child: Professor, have you ever read the “20000 Leagues Under the Sea” by Jules Verne? If we were to dive 20000 leagues under the sea, could we find a beautiful Red Anaconda Discus there? Professor: Haha, that’s a lovely thought, but we wouldn’t have to dive quite so deep to find this mesmerizing creature. Red…
The Graceful Dancer of the Aquarium World: Discovering the Leopard Discus
Data records that have nothing to do with the entry:
-- begin --
Compound: BiH3
Source: the Materials Project
Functional: PBE
Structure: relaxed

Computed properties:
* raw total energy: -2.747 eV/atom
* space group: No. 139
* theoretical density: 8.81 Mg/m³
* crystal system: tetragonal

Geometry as extended XYZ:
```
4
Lattice="-1.768 1.768 3.197 1.768 -1.768 3.197 1.768 1.768 -3.197" Properties=species:S:1:pos:R:3 pbc="T T T"
Bi 0.000 0.000 0.000
H 1.768 0.000 1.599
H 0.000 0.000 3.197
H 0.000 1.768 1.599
```

=====

No. 1
Material: Tl3FeCl5
Method: DFT, PBE
State: optimized geometry

Unit cell a=9.5961 b=9.5961 c=9.5961 alpha=127.19 beta=127.19 gamma=77.93
Closest atoms and distances in Å follow each position.
Element x y z (fractional)
Tl: 0.8355 0.6645 0.5000  8 Cl 3.19-3.54
Cl: 0.9942 0.4942 0.7983  1 Fe 2.29
Fe: 0.2500 0.7500 0.5000  4 Cl 2.29
Cl: 0.5058 0.3041 0.5000  1 Fe 2.29
Tl: 0.6645 0.1645 0.8291  8 Cl 3.19-3.54
Cl: 0.0058 0.5058 0.2017  1 Fe 2.29
Cl: 0.0000 0.0000 0.0000  4 Tl 3.19
Tl: 0.1645 0.3355 0.5000  8 Cl 3.19-3.54
Cl: 0.8041 0.0058 0.5000  1 Fe 2.29
Tl: 0.2500 0.2500 0.0000  10 Cl 3.55-3.73
Cl: 0.5000 0.5000 0.0000  4 Tl 3.19
Cl: 0.6959 0.1959 0.2017  1 Fe 2.29
Tl: 0.7500 0.7500 0.0000  10 Cl 3.55-3.73
Cl: 0.3041 0.8041 0.7983  1 Fe 2.29
Cl: 0.4942 0.6959 0.5000  1 Fe 2.29
Cl: 0.1959 0.9942 0.5000  1 Fe 2.29
Fe: 0.7500 0.2500 0.5000  4 Cl 2.29
Tl: 0.3355 0.8355 0.1709  8 Cl 3.19-3.54

Output
Volume in Å³/cell: 543.4
Formation energy in eV per atom: -1.261
Space-group type: I4/mcm (140)
Uncorrected energy in eV per atom: -3.676

No. 2
Material: Cs3Rh9C19O19
Method: DFT, PBE
State: optimized geometry

Unit cell a=9.5696 b=19.4857 c=19.6782 alpha=90.00 beta=90.00 gamma=90.52
Closest atoms and distances in Å follow each position.
Element x y z (fractional)
C: 0.5846 0.4850 0.8761  1 O 1.19
Rh: 0.6767 0.5043 0.6997  2 C 1.88-1.89
C: 0.6506 0.3659 0.5846  1 O 1.20
O: 0.9723 0.5637 0.4637  1 C 1.17
C: 0.7184 0.0196 0.4937  1 O 1.16
Cs: 0.7857 0.8152 0.4330  6 O 3.18-3.44
Cs: 0.2337 0.6075 0.8311  8 O 3.10-3.44
C: 0.3425 0.4734 0.3926  1 O 1.17
Rh: 0.4226 0.5832 0.1959  3 C 1.94-2.07
Rh: 0.1767 0.0043 0.8003  2 C 1.88-1.89
C: 0.9460 0.4166 0.5763  1 O 1.17
O: 0.3526 0.1345 0.2609  1 C 1.18
C: 0.9429 0.8555 0.6393  1 O 1.18
O: 0.6183 0.3420 0.0280  1 C 1.19
C: 0.9623 0.6286 0.2128  1 O 1.18
C: 0.4534 0.4628 0.7378  1 O 1.20
C: 0.9534 0.9628 0.7622  1 O 1.20
Rh: 0.0839 0.6860 0.1443  3 C 1.88-2.10
Rh: 0.8164 0.3921 0.6434  3 C 1.87-2.03
C: 0.3525 0.6522 0.0307  1 O 1.19
C: 0.1410 0.1365 0.1261  1 O 1.17
Cs: 0.7337 0.1075 0.6689  8 O 3.10-3.44
Rh: 0.0774 0.9168 0.6959  3 C 1.94-2.07
C: 0.9459 0.2229 0.1988  1 O 1.20
C: 0.8422 0.9085 0.2406  1 O 1.17
Rh: 0.5774 0.4168 0.8041  3 C 1.94-2.07
O: 0.4723 0.0637 0.0363  1 C 1.17
Cs: 0.2143 0.1848 0.5670  6 O 3.18-3.44
O: 0.5349 0.5374 0.8955  1 C 1.19
Cs: 0.7143 0.6848 0.9330  6 O 3.18-3.44
O: 0.5155 0.8322 0.0704  1 C 1.17
Rh: 0.4696 0.6235 0.3300  3 C 1.87-2.05
O: 0.6474 0.8655 0.7391  1 C 1.18
O: 0.5024 0.0350 0.8125  1 C 1.19
-- stop --
1. Introduction 【Child】Oh, Wise Professor, I see a fish shimmering like a leopard’s golden coat, yet it floats gracefully like a dancer in the water. Please do tell me more about this elegant creature. 【Professor】Ah, my young friend! You have caught sight of the remarkable Leopard Discus. In this discussion, I shall guide you through…
Discovering the Leopard Snake Skin Discus: An Aquatic Wonderland of Enchantment and Beauty
1. Introduction 【Child】 Professor, have you ever heard of the beautiful Leopard Snake Skin Discus? I’m reminded of the elusive creature from Lewis Carroll’s “Alice’s Adventures in Wonderland,” the Cheshire Cat, but this time it’s graced the underwater realm! 【Professor】 Ah, quite an intriguing comparison my dear! Yes, the Leopard Snake Skin Discus is indeed…
A Rising Star: Captivating the Aquatic World with Rising Sun Discus Fish
1. Introduction Child: Professor, I recently read Jules Verne’s “Twenty Thousand Leagues Under the Sea” and was fascinated by the different aquatic creatures Captain Nemo encounters. It got me thinking, what’s a unique and vibrant fish that can take center stage in an aquarium like Nemo had on the Nautilus? Professor: Ah, that’s an excellent…
The Enchanting Realm of Rafflesia Discus: A Magical Journey into the Aquatic World
1. Introduction 【Child】: You know, I’ve recently read the remarkable works of the Great White Wizard, Merlin. In his journey, he mentioned the mythical beauty of the Rafflesia flower once it blossomed. But Professor, is there really a kind of magical underwater king like Rafflesia in the aquatic world? 【Professor】: Ah, my dear young scholar,…
“The Royal Realm of Marlboro Yellow Discus: Masterpieces of the Aquarium World”
1. Introduction 【Child】: Professor, are Marlboro Yellow Discus really as bright and fantastic as characters from Shakespeare’s magical world, or do they resemble the famous paintings in the Louvre? 【Professor】: Ah, you are right on point! The Marlboro Yellow Discus, sometimes hailed as the “Kings of the Aquarium,” are indeed like a radiant character from…
“Fiery Sunset Masterpieces: Unveiling the Marlboro Red Discus”
1. Introduction 【Child】: Professor, I recall Shakespeare wrote, “That which we call a rose by any other name would smell as sweet.” Would that be true with a fantastic-sounding fish called Marlboro Red Discus? I’m intrigued by the name and want to learn more. 【Professor】: Indeed, dear child, the Marlboro Red Discus is a beautiful…
Dazzling Discus: Exploring the Mesmerizing World of Velvet Red Discus Fish
1. Introduction 【Child】: Professor, I’ve recently been reading Lewis Carroll’s Alice in Wonderland, and there’s a character called the Cheshire Cat that starts as a pair of glowing eyes and eventually reveals itself with bright colors and patterns. I wonder if there’s a fish with a similar vibrant presence in the aquatic world? Something like…
Diving into the Masterpiece: A Journey with the Van Gogh-inspired Marimari Heckel Discus
【Child】Oh, wise Professor, have you ever heard of a fish that embodies the vivid colors found in a Van Gogh painting? 【Professor】Indeed, dear child, I believe you are referring to the Marimari Heckel Discus, a beautiful aquarium fish whose colors are rich like the paintings of Van Gogh. In this article, we shall explore their…
Mastering the Art of Hekkelleopard Discus Care: A Guide to Aquarium Elegance
1. Introduction Child: Professor, will you tell me a tale of a fish that wears spots like a leopard and dresses in the colors of a sunset? Professor: Ah, I see you’re seeking knowledge on the mesmerizing Hekkelleopard Discus! These fascinating creatures captivate aquarists with their vibrant colors and unique patterns. Today, let’s explore the…